**What to do:**
Could you say how many lines of the data below hold the word "group", as a bare number?

**Data:**
____________
Calculated X-ray powder pattern
Compound: Ho3Tm
Radiation: Cu Kα, 1.54184 Å
Structure: DFT lattice parameters and positions (GGA-PBE)

Crystal structure
Cell lengths 5.5579, 12.3873, 7.1517 Å; angles 90.00, 90.00, 90.00 degrees
Space group Ama2 (No. 40)
One atom of each set of equivalent atoms:
Ho 0.2500 0.0831 0.0000
Ho 0.2500 0.3334 0.2497
Ho 0.2500 0.3337 0.7495
Tm 0.2500 0.0832 0.4992

Top 10 peaks for 10 to 90 degrees two-theta, low angle first:
| d (Å) | 2θ/deg | I_rel |
| --- | --- | --- |
| 3.097 | 28.8 | 23.9 |
| 2.779 | 32.2 | 23.9 |
| 2.705 | 33.1 | 100.0 |
| 2.068 | 43.8 | 15.5 |
| 1.788 | 51.1 | 19.8 |
| 1.590 | 58.0 | 20.3 |
| 1.504 | 61.7 | 22.5 |
| 1.492 | 62.2 | 16.4 |
| 1.145 | 84.6 | 14.2 |
| 1.097 | 89.3 | 8.5 |

----------

Diffraction record for Li3MnCoO5. The X-ray diffraction stick pattern is calculated, not measured: it uses a structure optimized by DFT (PBE+U) and CuKα.
Lines closer than 0.1° are merged.

Main lines, low angle first (10 to 90 degrees two-theta):
18.2°, intensity 100
20.6°, intensity 8
27.6°, intensity 9
34.6°, intensity 11
36.2°, intensity 26
41.6°, intensity 26
44.0°, intensity 58
58.0°, intensity 11
62.1°, intensity 13
62.3°, intensity 12

Structural model:
abc: 5.115 5.115 13.338
angles: 103.27 103.27 32.80
Atoms (fractional coordinates):
1 Li 0.000 0.000 0.000
2 Li 0.106 0.106 0.718
3 Li 0.312 0.312 0.085
4 Li 0.500 0.500 0.500
5 Li 0.688 0.688 0.915
6 Li 0.894 0.894 0.282
7 Mn 0.197 0.197 0.399
8 Mn 0.803 0.803 0.601
9 Co 0.398 0.398 0.822
10 Co 0.602 0.602 0.178
11 O 0.038 0.038 0.844
12 O 0.167 0.167 0.546
13 O 0.238 0.238 0.269
14 O 0.344 0.344 0.939
15 O 0.436 0.436 0.636
16 O 0.564 0.564 0.364
17 O 0.656 0.656 0.061
18 O 0.762 0.762 0.731
19 O 0.833 0.833 0.454
20 O 0.962 0.962 0.156

---

Diffraction record for Li5Mn2CoO8. The X-ray diffraction stick pattern is calculated, not measured: it uses a structure optimized by DFT (PBE+U) and CuKα.
Lines closer than 0.1° are merged.

Main lines, low angle first (10 to 90 degrees two-theta):
10.5°, intensity 21
15.2°, intensity 18
18.5°, intensity 100
18.6°, intensity 10
35.7°, intensity 13
36.5°, intensity 26
43.1°, intensity 30
44.3°, intensity 59
63.4°, intensity 15
63.7°, intensity 17

Structural model:
abc: 5.825 2.868 8.401
angles: 90.00 90.38 90.00
Atoms (fractional coordinates):
1 Li 0.000 0.000 0.000
2 Li 0.000 0.000 0.500
3 Li 0.244 0.500 0.282
4 Li 0.500 0.000 0.500
5 Li 0.756 0.500 0.718
6 Mn 0.250 0.500 0.737
7 Mn 0.750 0.500 0.263
8 Co 0.500 0.000 0.000
9 O 0.027 0.000 0.754
10 O 0.250 0.500 0.521
11 O 0.277 0.500 0.983
12 O 0.482 0.000 0.750
13 O 0.518 0.000 0.250
14 O 0.723 0.500 0.017
15 O 0.750 0.500 0.479
16 O 0.973 0.000 0.246

----------

Diffraction record for LaCr2SbO8. The powder diffractogram is calculated, not measured: it uses a cell relaxed with PBE+U and copper Kα.
Intensities are scaled so that the largest is 100.

Top 8 peaks for 10° ≤ 2θ ≤ 90°, by angle:
d (Å), I_rel
4.725, 62
3.685, 100
3.078, 69
2.955, 96
2.646, 70
2.298, 32
2.282, 32
2.069, 31

Cell and atoms:
```
LaCr2SbO8
1.0
3.7459 -3.0784 0.0000
3.7459 3.0784 0.0000
-1.2622 0.0000 6.9064
La Cr Sb O
1 2 1 8
Direct
0.0000 0.0000 0.0000
0.4387 0.4387 0.7697
0.5613 0.5613 0.2303
0.0000 0.0000 0.5000
0.2083 0.7656 0.2775
0.2344 0.7917 0.7225
0.2630 0.2630 0.5448
0.3324 0.3324 0.9789
0.6676 0.6676 0.0211
0.7370 0.7370 0.4552
0.7656 0.2083 0.2775
0.7917 0.2344 0.7225
```
____________

**Reply:**
1